Why Settlement Agreements Matter
For tenancies where a landlord or letting agent hasn’t opted for a Rent Protection product, then it isn’t unusual for a legal team to be instructed to recover a debt from a tenant who has defaulted on their rent.
It is quite usual for a debt-recovery team to receive payment offers, and it’s important that settlement offers are never overlooked. One of the considerable benefits is that such negotiations can deliver a swift resolution for landlords.
Some advantages of agreeing to a settlement are:
- They can provide financial relief for both parties involved.
- Landlords can get money in their pockets rather than having to go through the court process and incur fees with no guarantee of recovering any money.
- It encourages the parties to remain amicable with each other and is less adversarial than the court process.
- Tenants can avoid the long-term consequences of bankruptcy, and enjoy relief from overwhelming debts.
- Court costs are avoided.
A recent instruction encountered by our legal partners was when they were instructed by a business to recover a large debt that was owed to them by one of their clients. Upon receiving this instruction, Woodstock sent out a letter before action to the debtor, stating that they must pay within 14 days in order to avoid court proceedings.
These calculated crystals were left in the page by mistake:
'''
# Cs3TbEr2S6 | Alexandria via LeMat-Bulk | PBE | optimized geometry
data_Cs3TbEr2S6
_chemical_formula_sum 'Cs6 Tb2 Er4 S12'
_cell_length_a 7.083
_cell_length_b 12.268
_cell_length_c 8.399
_cell_angle_alpha 90.00
_cell_angle_beta 106.32
_cell_angle_gamma 90.00
_symmetry_space_group_name_H-M 'C 1 2/m 1'
_symmetry_Int_Tables_number 12
loop_
_symmetry_equiv_pos_as_xyz
'x,y,z'
'-x,-y,-z'
'-x,y,-z'
'x,-y,z'
'x+1/2,y+1/2,z'
'-x+1/2,-y+1/2,-z'
'-x+1/2,y+1/2,-z'
'x+1/2,-y+1/2,z'
loop_
_atom_site_label
_atom_site_type_symbol
_atom_site_fract_x
_atom_site_fract_y
_atom_site_fract_z
_atom_site_occupancy
Cs1 Cs 0.000 0.000 0.000 1
Cs2 Cs 0.000 0.334 0.000 1
Tb1 Tb 0.000 0.500 0.500 1
Er1 Er 0.000 0.167 0.500 1
S1 S 0.224 0.000 0.681 1
S2 S 0.229 0.332 0.681 1
# total moment	0.000	μB per formula unit
# formation energy without anion corrections	-1.83	eV/atom



# Tl2Pb2Cl | Alexandria via LeMat-Bulk | PBE | optimized geometry
data_Tl2Pb2Cl
_chemical_formula_sum 'Tl4 Pb4 Cl2'
_cell_length_a 8.832
_cell_length_b 8.832
_cell_length_c 4.198
_cell_angle_alpha 90.00
_cell_angle_beta 90.00
_cell_angle_gamma 90.00
_symmetry_space_group_name_H-M 'P 4/m b m'
_symmetry_Int_Tables_number 127
_symmetry_space_group_name_Hall '-P 4 2ab'
loop_
_atom_site_label
_atom_site_type_symbol
_atom_site_fract_x
_atom_site_fract_y
_atom_site_fract_z
_atom_site_occupancy
Tl1 Tl 0.182 0.318 0.000 1
Pb1 Pb 0.124 0.624 0.500 1
Cl1 Cl 0.000 0.000 0.000 1
# total moment	0.000	μB per formula unit
# formation energy without anion corrections	-0.11	eV/atom



# YSc2AlPd4 | Alexandria via LeMat-Bulk | PBE | optimized geometry
data_YSc2AlPd4
_chemical_formula_sum 'Y3 Sc6 Al3 Pd12'
_cell_length_a 4.6210
_cell_length_b 4.6210
_cell_length_c 23.8218
_cell_angle_alpha 90.00
_cell_angle_beta 90.00
_cell_angle_gamma 120.00
_symmetry_space_group_name_H-M 'R -3 m'
_symmetry_Int_Tables_number 166
_symmetry_space_group_name_Hall '-R 3 2"'
loop_
_atom_site_label
_atom_site_type_symbol
_atom_site_fract_x
_atom_site_fract_y
_atom_site_fract_z
_atom_site_occupancy
Y1 Y 0.0000 0.0000 0.0000 1
Sc1 Sc 0.0000 0.0000 0.2431 1
Al1 Al 0.0000 0.0000 0.5000 1
Pd1 Pd 0.0000 0.0000 0.1290 1
Pd2 Pd 0.0000 0.0000 0.3922 1
# total moment	0.000	μB per formula unit
# ΔH_f (0 K)	-0.877	eV per atom



# Tm7MgGa4 | Alexandria via LeMat-Bulk | PBE | optimized geometry
data_Tm7MgGa4
_chemical_formula_sum 'Tm14 Mg2 Ga8'
_cell_length_a 13.442
_cell_length_b 5.469
_cell_length_c 9.966
_cell_angle_alpha 90.00
_cell_angle_beta 124.78
_cell_angle_gamma 90.00
_symmetry_space_group_name_H-M 'C 1 2/m 1'
_symmetry_Int_Tables_number 12
loop_
_symmetry_equiv_pos_as_xyz
'x,y,z'
'-x,-y,-z'
'-x,y,-z'
'x,-y,z'
'x+1/2,y+1/2,z'
'-x+1/2,-y+1/2,-z'
'-x+1/2,y+1/2,-z'
'x+1/2,-y+1/2,z'
loop_
_atom_site_label
_atom_site_type_symbol
_atom_site_fract_x
_atom_site_fract_y
_atom_site_fract_z
_atom_site_occupancy
Tm1 Tm 0.000 0.000 0.000 1
Tm2 Tm 0.063 0.500 0.374 1
Tm3 Tm 0.195 0.000 0.635 1
Tm4 Tm 0.215 0.500 0.884 1
Mg1 Mg 0.000 0.500 0.000 1
'''
They also attempted to call the debtor to establish if a settlement agreement could be reached; without such negotiations, it could take years for clients to even start to begin to receive any payments towards the debt that they are owed.
Thankfully, this call resulted in a £58k settlement offer that the debtor agreed to pay over a six-month period. Shortly after this settlement was made, the first payment of £10,000 was received.
Had the matter proceeded to court then even the judgement may not have resulted in a repayment. This is because sadly, even where there is a judgement, it doesn’t always equal money in the pocket as an enforcement order is still needed for the money to be recovered. Therefore, we often encourage a proactive approach to reaching a settlement.
Indeed, as we look towards the proposed Rental Reform Bill which may become law next year, we could expect to see more defended claims resulting in lengthy waiting times at the courts. As a result we would encourage all parties to keep the lines of communication open and consider the benefit of a settlement agreement.
If you have any money that is owed to you, whether from a company or an ex-tenant, please get in touch with Woodstock Legal Services and we will be happy to help.